Well, it has been a fantastic weekend. It started off with the 10 mile yard sale. I didn't have as much luck as I like to, but I did get a few things. This was probably something silly, but I just couldn't help myself, not for just a dime. But it is the Cheerio's bee. I love whimsical bees and my favorite cereal is Cheerios so I just had to have it. It's a Pez dispenser.
(Attached: quantum chemistry results)
┌──
Entry from the Open Molecules 2025 dataset: one molecule with the formula C2H6N2 (ωB97M-V with the def2-TZVPD basis set).

**LUMO energy**: 1.25 eV
**E_HOMO**: -0.2975 hartree
**Energy above the lowest of the compared OMol25 structures with the same formula, charge and spin**: 115.87 kJ/mol
**Gap between HOMO and LUMO**: 9.35 eV
**E_tot**: -5150.719 eV
**SMILES**: N/C=C/N

Element x y z (Å)
N -1.60410 -0.68899 0.63092
C -0.24476 -0.55339 0.17087
C 0.17867 0.56919 -0.39563
N 1.50419 0.77629 -0.80482
H -1.65657 -0.68754 1.64085
H -1.99610 -1.57055 0.32736
H 0.45896 -1.36442 0.34658
H -0.50985 1.38294 -0.57709
H 1.67731 1.69202 -1.18679
H 2.19224 0.44446 -0.15225

---

Entry from the Open Molecules 2025 dataset: C2H6N2O as an isolated structure at a distorted geometry (ωB97M-V with the def2-TZVPD basis set).

**LUMO energy**: 0.62 eV
**E_HOMO**: -0.3553 hartree
**Energy above the lowest of the compared OMol25 structures with the same formula, charge and spin**: 594.11 kJ/mol
**Gap between HOMO and LUMO**: 10.29 eV
**E_tot**: -7193.630 eV

Element x y z (Å)
C -0.20661 1.55422 1.05232
C -0.03007 -1.25808 -0.65630
H -0.12601 1.79364 2.00256
H -1.25300 1.13461 0.77228
H -0.11969 2.46250 0.41761
H 1.04133 0.53518 -0.83268
H -0.92120 -1.74411 -0.11126
H 0.06316 -2.93121 -1.90478
N 0.21929 0.08378 -0.43313
N 0.83446 -2.06084 -1.31125
O 0.49835 0.43031 1.00462

---

Entry from the Open Molecules 2025 dataset: a 2-piece molecular cluster, C2H6N2O overall at a distorted geometry (ωB97M-V with the def2-TZVPD basis set).

**LUMO energy (spin up / spin down)**: 0.16 / 0.89 eV
**E_HOMO (spin up / spin down)**: -0.3143 / -0.3316 hartree
**Energy above the lowest of the compared OMol25 structures with the same formula, charge and spin**: 613.77 kJ/mol
**Gap between HOMO and LUMO (spin up / spin down)**: 8.71 / 9.91 eV
**E_tot**: -7193.426 eV

Element x y z (Å)
C 1.80300 -0.00294 0.40854
C -1.28407 0.78758 -0.13684
N 1.47835 0.35107 -0.68541
N -0.73566 -0.27761 -1.01122
O -0.65559 -1.31891 -0.14601
H 2.80145 0.29768 0.65659
└──
My next exciting find was this gorgeous silver sugar and cream set. I am in love with it. I have always wanted a set like this.
As you recall, my new office has some black and white Thirty-One organizers in it. So when I saw this cup and coaster, I knew I had to have it.
I also picked up this brand new project planner. it had never been used. It is perfect for someone who had so many irons in the fire like I do.
I got this recipe book from my daughter-in-laws booth. It has some awesome recipes. She teased me about buying it because of the cake on the front. Sad to say, but she was right. :) But I did find lots of recipes inside that I would like to try out.
I found this cute little picture to set on my desk. It is one of my favorite bible versus.
I had hoped to find another wooden pelican. I found one last year I loved. I was lucky and found this little guy for just .50 cents.
Found this cute little rooster. My camera went nuts though and I didn't get a good picture. But I love it.
The bargain of the day was these two white milk glass bowls. I got one and my daughter got the other one. They were .50 cents each. She saw where someone put Styrofoam in them and then did a flower arrangement. We are going to try that.
I went with the thought in mind that I would like to find some plastic bowling pins to use for a little carnival we were putting on for Children's church. Imagine my delight when I was able to get a set for just .50 cents. I forgot to take a picture before I took them to church but they were similar to this with farm animals on them.
I spent some time Saturday evening preparing the games. Then I crashed on the couch after supper. It was a long day. Sunday I went to Sunday School then we had our carnival for the kids of Children's church. They had a ton of fun. I didn't get any pictures of the them doing the games, but we played alligator when it was all over and I did get a pic of that. We had already cleaned up the carnival games by then.

Last night was the 50th Anniversary of the Academy of Country Music awards show. I rarely watch any of the music event shows unless it relates to Country Music then I never miss them. I miss the ACM awards one year on TV but it was on the radio so I was able to listen to them. I love watching the various reactions when people win and you can tell by the look on their face they did not think they would. It was a great show. I was happy with most of the winners, but I was a little shocked to say the least at single record of the year. I sure didn't expect it to be I Don't Dance by Lee Brice. That was a good song, but song of the year? And even though I was happy for Luke Bryan as entertainer of the year, I really had hoped Jason Aldean would take that one home. But all in all, it was an awesome 50th anniversary show with a lot of recognition going to a lot of people who deserved it.